Open vs. Closed Fracture

An open fracture is an injury that not only damages the bone but will break the skin. This can cause the bone to protrude out of the skin. Surgery is required to repair the bone and to close the wound in the skin. Antibiotics may also be necessary to prevent infection.

A closed fracture occurs when there is bone breakage but no break in the skin. Typically bruising and swelling are present at the fracture site.

The Benefits of Shape-up Shoes

Shape-up Shoes
Shape-up Shoes










Shape-up shoes are a new trend in the fitness world.  They are designed to challenge your balance while walking; therefore, increasing muscle tone to your calf, hamstring, core, and gluteus muscles.  There are many different brands that make these types of shoes and each brand has a different take on the idea. The Shape- up shoe has a built up sole which brings your center of gravity in a more forward position.  Therefore, your hamstrings, gluteus, calf, and core musculature are firing greater to maintain your balance.  Compared to wearing normal sneakers, you are working these muscles more with activity. 

 These shoes are beneficial to people that enjoy walking for exercise and would like to target their hamstring, gluteus, core, and calf muscles.  As with ankle/hand weights, shape-ups are another device to challenge your muscles in a different way with weight bearing exercise.  For people who work out at the gym or run, this will not substitute your typical exercise routine.  This is something you could add to your routine to challenge your balance, while performing your workout. 

 A lot of these shoes have a rocker bottom sole.  Rocker bottom sole shoes have been used for years to help treat patients with certain foot conditions.  However, most of the shoes made years ago are not stylish so compliance is always an issue.  With Shape-up shoes, they have inadvertently made a shoe with a rocker bottom that is in vogue.  Below are some reasons why a person would benefit from a rocker bottom sole shoe.   

 Depending where the rocker bottom is placed, it has different benefits.  If the rocker bottom is placed behind the ball of the foot, it aids in putting less pressure on the ball of the foot and the big toe.  Therefore, many people use this type of shoe to help diminish foot pain with walking.  When the rocker point is thicker in the back of the shoe, this limits ankle and mid-foot motion.  This helps to limit pressure placed on the heel of the foot.  

 Shape-ups should not be worn by people with balance disorders, chronic back pain, or a history of ankle pain.  If you are unsure if you are a candidate for these shoes, consult your doctor or physical therapist.

Tips to Reduce Back Pain While Driving

Most car manufacturers develop their seating options based on the aesthetics of the car versus the comfort of the driver and passenger.  Back pain can develop or increase from improper seating posture while driving.  Finding the correct seating setting is beneficial, especially for people that drive as an occupation. Therefore, listed below are some tips to reduce back pain while driving.

  1. Avoid driving for more than 2 hours at a time. Get out of the car, walk, and stretch your legs.
  2. Sit with your bottom all way back in the seat and use the vehicles built in lumbar support to provide cushion to your lumbar spine. If you don’t have a lumbar support, roll up a towel and place it in the curve of your low back.
  3. The back rest should have about a 10-15 degree incline. Most people tend to have the back rest too far tilted backward.
  4. Your knees should have about a 45 degree bend. You don’t want your legs so straight that you are reaching for the pedals. It you are short, some dealerships sell pedal extensions.
  5. Use cruise control while on long highway driving.
  6. Try to maintain good posture, and make sure you have good visibility with your mirrors.
  7. Take the wallet out of your back pocket and avoid wearing a tight belt. This can add pressure to the back.
  8. For long car trips, adjust your seat every 30 minutes. To prevent constant pressure on the same areas on your body, slightly adjust the backrest angle.

(What comes next are records of crystals, not part of the page)
+++
Density functional theory data (r²SCAN) for Er3Ga2Ge3 after structural relaxation.

a b c (Å): 5.9253 5.9253 9.3749
angles (deg): 90.00 90.00 77.36
Fractional positions:
Er (0.1583, 0.8417, 0.7500)
Er (0.3023, 0.3023, 0.0000)
Er (0.3023, 0.3023, 0.5000)
Er (0.6977, 0.6977, 0.0000)
Er (0.6977, 0.6977, 0.5000)
Er (0.8417, 0.1583, 0.2500)
Ga (0.1753, 0.8247, 0.0501)
Ga (0.1753, 0.8247, 0.4499)
Ga (0.8247, 0.1753, 0.5501)
Ga (0.8247, 0.1753, 0.9499)
Ge (0.0046, 0.5948, 0.2500)
Ge (0.4052, 0.9954, 0.2500)
Ge (0.4536, 0.5464, 0.2500)
Ge (0.5464, 0.4536, 0.7500)
Ge (0.5948, 0.0046, 0.7500)
Ge (0.9954, 0.4052, 0.7500)

Calculated values
Its magnetization is 0.0 μB per cell. The energy relative to the elements is -775 meV/atom. The volume is 20.07 A^3/atom.

---

Density functional theory data (r²SCAN) for ErGaNi after structural relaxation.

a b c (Å): 6.7471 4.2320 7.2143
angles (deg): 90.00 90.00 90.00
Fractional positions:
Er (0.0191, 0.2500, 0.1950)
Er (0.4809, 0.7500, 0.6950)
Er (0.5191, 0.2500, 0.3050)
Er (0.9809, 0.7500, 0.8050)
Ga (0.1743, 0.2500, 0.5759)
Ga (0.3257, 0.7500, 0.0759)
Ga (0.6743, 0.2500, 0.9241)
Ga (0.8257, 0.7500, 0.4241)
Ni (0.2111, 0.7500, 0.4022)
Ni (0.2889, 0.2500, 0.9022)
Ni (0.7111, 0.7500, 0.0978)
Ni (0.7889, 0.2500, 0.5978)

Calculated values
Its magnetization is 0.0 μB per cell. The energy relative to the elements is -689 meV/atom. The volume is 17.17 A^3/atom.

---

Density functional theory data (r²SCAN) for ErGa4Ni after structural relaxation.

a b c (Å): 7.7784 7.7784 6.5095
angles (deg): 90.00 90.00 149.82
Fractional positions:
Er (0.1204, 0.8796, 0.7500)
Er (0.8796, 0.1204, 0.2500)
Ga (0.0700, 0.9300, 0.2500)
Ga (0.3148, 0.6852, 0.5513)
Ga (0.3148, 0.6852, 0.9487)
Ga (0.5000, 0.5000, 0.0000)
Ga (0.5000, 0.5000, 0.5000)
Ga (0.6852, 0.3148, 0.0513)
Ga (0.6852, 0.3148, 0.4487)
Ga (0.9300, 0.0700, 0.7500)
Ni (0.2243, 0.7757, 0.2500)
Ni (0.7757, 0.2243, 0.7500)

Calculated values
Its magnetization is 0.0 μB per cell. The energy relative to the elements is -557 meV/atom. The volume is 16.50 A^3/atom.

---

Density functional theory data (r²SCAN) for Er2GaNi2 after structural relaxation.

a b c (Å): 5.2465 5.2465 5.2465
angles (deg): 133.43 119.65 79.50
Fractional positions:
Er (0.2017, 0.2017, 0.0000)
Er (0.7983, 0.7983, 0.0000)
Ga (0.5000, 0.0000, 0.5000)
Ni (0.2327, 0.5000, 0.7327)
Ni (0.7673, 0.5000, 0.2673)

Calculated values
Its magnetization is 0.0 μB per cell. The energy relative to the elements is -610 meV/atom. The volume is 17.65 A^3/atom.

---

Density functional theory data (r²SCAN) for Er2Ga3Ni after structural relaxation.

a b c (Å): 5.4682 5.4682 6.9759
angles (deg): 128.61 128.61 46.07
Fractional positions:
Er (0.0000, 0.0000, 0.0000)
Er (0.0847, 0.0847, 0.5868)
Ga (0.3690, 0.3690, 0.1713)
Ga (0.3970, 0.3970, 0.6118)
Ga (0.7089, 0.7089, 0.3893)
Ni (0.7131, 0.7131, 0.0137)

Calculated values
+++
(The records of crystals stop here)

Benefits of Massage

Many people receive massages to relieve stress and relax their mind and body.  Physical Therapists use massage techniques along with exercise to achieve functional improvements. Physical therapists are trained to perform therapeutic massages to promote healing of an injury.  Not all physical therapy patients receive massage techniques.  The use of massage techniques for your specific condition is determined by your physical therapist. 

Some benefits of massage are increasing joint flexibility, promoting tissue regeneration, decreasing scar tissue, decreasing swelling, decreasing muscle spasms, relaxing overused muscles, improving circulation, decreasing stress, improving posture, decreasing blood pressure, managing pain, and increasing range of motion.

 If you are interested in learning more about the use of therapeutic massage for your condition, please contact us.